I strongly believe that there is no greater tool that can drive quality and improvement in the sector more, than collaboration. At CMG, we have always placed great importance on fostering a collaborative approach to support provision, taking in the strategies, vision and differing experiences of the experts that surround us.
In the last year, we have taken this collaborative and best practice sharing approach to the next level. In October 2018, we officially launched two new Positive Behaviour Support (PBS) initiatives, in conjunction with a number of other support providers, family carers and Surrey County Council, in what was a first for the sector.
........
Na2Sm2MgTi3O10 | GGA-PBE | relaxed

Magnetization in Bohr magnetons per cell: 1.8
E_form in eV/atom: -3.107
V in Å³/atom: 13.98
Total energy after the MP2020 corrections in eV per formula unit: -142.773
Uncorrected energy in eV per atom: -7.55

a = 5.4090 Å, b = 5.3987 Å, c = 17.4448 Å
α = 90.00°, β = 98.86°, γ = 90.00°
Closest atoms and distances in Å follow each position.
Space group Cm (No. 8)
Unique sites:
Na (0.0000, 0.0000, 0.0000) [2 per cell]  1 O 2.29
Na (0.0637, 0.5000, 0.1220) [2 per cell]  1 O 2.32
Sm (0.1825, 0.5000, 0.3493) [2 per cell]  4 O 2.41
Sm (0.2661, 0.5000, 0.5916) [2 per cell]  5 O 2.38-2.59
Mg (0.4146, 0.5000, 0.7983) [2 per cell]  4 O 2.12
Ti (0.1277, 0.0000, 0.2357) [2 per cell]  5 O 1.78-1.97
Ti (0.2380, 0.0000, 0.4867) [2 per cell]  6 O 1.89-2.05
Ti (0.4567, 0.0000, 0.8849) [2 per cell]  1 O 1.76
O (0.0097, 0.5000, 0.9872) [2 per cell]  1 Ti 1.76
O (0.0784, 0.0000, 0.1326) [2 per cell]  1 Ti 1.78
O (0.1904, 0.2501, 0.8513) [4 per cell]  2 Ti 2.00, 2 Mg 2.12
O (0.2017, 0.0000, 0.3753) [2 per cell]  1 Ti 1.92
O (0.3350, 0.0000, 0.6050) [2 per cell]  1 Ti 2.05
O (0.3918, 0.2506, 0.2643) [4 per cell]  2 Ti 1.97
O (0.4917, 0.2562, 0.4950) [4 per cell]  2 Ti 1.89-1.94

* * * * *

No. 1
In7GeIrO8: relaxed, PBE.

Cell: 7.2875 7.2875 7.2875 Å, 60.00 60.00 60.00°
Closest atoms and distances in Å follow each position.
Fractional positions:
In1 0.2500 0.7500 0.7500  4 O 2.26-2.41
In2 0.7500 0.2500 0.2500  4 O 2.26-2.41
In3 0.2500 0.2500 0.7500  4 O 2.26-2.41
In4 0.2500 0.7500 0.2500  4 O 2.26-2.41
In5 0.7500 0.7500 0.2500  4 O 2.26-2.41
In6 0.7500 0.2500 0.7500  4 O 2.26-2.41
In7 0.7500 0.7500 0.7500  4 O 2.15
Ge1 0.2500 0.2500 0.2500  4 O 1.80
Ir1 0.0000 0.0000 0.0000  6 In 2.58
O1 0.3510 0.9469 0.3510  1 Ge 1.80
O2 0.6297 0.6297 0.6297  4 In 2.15-2.26
O3 0.9469 0.3510 0.3510  1 Ge 1.80
O4 0.6297 0.1109 0.6297  4 In 2.15-2.26
O5 0.3510 0.3510 0.3510  1 Ge 1.80
O6 0.1109 0.6297 0.6297  4 In 2.15-2.26
O7 0.3510 0.3510 0.9469  1 Ge 1.80
O8 0.6297 0.6297 0.1109  4 In 2.15-2.26

Output
Total energy after the MP2020 corrections (eV/atom): -5.90
Space-group type: F-43m
Maximum piezoelectric response (C/m2): 0.4
Crystal system: cubic

---

No. 2
In6Ge2IrO8: relaxed, PBE.

Cell: 7.2482 7.2482 7.2482 Å, 60.00 60.00 60.00°
Closest atoms and distances in Å follow each position.
Fractional positions:
In1 0.7505 0.2495 0.2495  4 O 2.38, 1 Ir 2.56
In2 0.2495 0.7505 0.7505  4 O 2.38, 1 Ir 2.56
In3 0.2495 0.7505 0.2495  4 O 2.38, 1 Ir 2.56
In4 0.7505 0.2495 0.7505  4 O 2.38, 1 Ir 2.56
In5 0.2495 0.2495 0.7505  4 O 2.38, 1 Ir 2.56
In6 0.7505 0.7505 0.2495  4 O 2.38, 1 Ir 2.56
Ge1 0.2500 0.2500 0.2500  4 O 1.83
Ge2 0.7500 0.7500 0.7500  4 O 1.83
Ir1 0.0000 0.0000 0.0000  6 In 2.56
O1 0.3529 0.3529 0.3529  1 Ge 1.83
O2 0.6471 0.6471 0.6471  1 Ge 1.83
O3 0.3529 0.3529 0.9413  1 Ge 1.83
O4 0.3529 0.9413 0.3529  1 Ge 1.83
O5 0.6471 0.6471 0.0587  1 Ge 1.83
O6 0.6471 0.0587 0.6471  1 Ge 1.83
O7 0.9413 0.3529 0.3529  1 Ge 1.83
........
PBS has long been recognised as an effective way for supporting people with learning disabilities and/or autism who can present complex behaviours which challenge. It is essentially a framework used to gain a detailed understanding of an individual – their skills, behaviour, and health needs. The key elements of a PBS approach are to develop new skills and opportunities which help to enhance quality of life, build self-esteem, and provide alternatives to behaviours that may be considered challenging.
The Surrey Positive Behaviour Support Network (SPBSN) was first established in 2014, with the mission of bringing together members of the Surrey community to discuss, learn, and share, culminating in the implementation of a PBS Framework. With the network comprising of over 200 people, including people with learning disabilities/autism and their families, academics, and support practitioners and professionals, it marked the launch of a truly diverse and collective approach to care.
In 2016, the Network began partnering with adult social services to influence the understanding and development of residential and supported living services across the county, progressing the Transforming Care Agenda. We wanted to ensure that there was confidence in the region’s ability to effectively support some of its most vulnerable people – particularly when the level of support they require and deserve has not always been delivered. It was also important to address concerns around future support for people with learning disabilities and/or autism, and challenging behaviour.
To address this, and to drive high standards across the learning disability sector, the PBS Quality Experience Tool (QET) and the Surrey based PBS coaches programme was born. The QET is a values-led measurement of an individual’s experience of PBS within a residential or supported living service. It is based on six core outcomes for the individual, including staff support; environment; involvement of family and friends; progression; opportunities and the understanding of behaviour. The QET is more than a tool – it is a quality pathway for the entire county.
The Surrey PBS Coaches Programme was launched to combat what has historically been a lack of PBS training at an advanced level nationally. The courses that are available are typically expensive and are often unachievable for small providers, or larger providers with high rates of staff turnover. Workforce development is critical in progressing the Transforming Care Agenda, particularly in a county like Surrey, where recruitment and housing are the main challenges in providing new services for individuals with more complex needs.
The Surrey PBS Coaches Programme, developed with input from 6 organisations, was created in response to the national Agenda. It comprises an intensive 8-month course, with 64 hours of teaching and an additional 100 hours of work-based assessment. It offers a training opportunity that both values and nurtures the talents, passions and skills of support staff across the country.
The overarching aim is to generate a group of people every year that can lead practice in their services, develop and review support guidelines, implement PBS plans and utilise data-based evidencing for behavioural support.
These two initiatives, developed in collaboration with both the people who use the services, and those who work tirelessly to deliver the high-quality care, are already demonstrating clear signs of success. There are real lessons to be learnt for the sector in the value of collaboration, bringing together the voices, skills and experiences of the people who matter most. It is this approach that will be the driving force in responding to the challenges and opportunities of our sector, alongside transforming care delivering across an entire county and beyond.